Wednesday, February 11, 2015

The Amazon 2015 Trip Report: Photos to Follow...

Last Sunday, another spectacular trip to Brazil’s Agua Boa Amazon Lodge ended. We had a great group, perfect weather and what has become routine on this river, sensational fishing. All nine of us caught peacock bass over 10 lbs. ... the biggest was 18 lbs. There were dozens of double digit peacocks caught almost every day. I’m sure our group caught well over 150 of these monsters. In addition to the big tucanare peacocks you see in all the photos, we caught many paca (spotted peacocks) and borboleta (butterfly peacocks). We also caught jundia, red tail and surabim catfish, arowana, jacunda, bicuda, payara, oscars. piranha and pacu (on dry flies).

We blind fished with medium sink tips any structure that lined the shady banks. We sight fished big peacocks in shallow lagos with intermediate lines and poled the main river scanning the flats. Here, we threw floating lines armed with poppers and unweighted small streamers. These broad pale yellow shallows were reminiscent of bonefish flats in the Bahamas... that is until a 10 foot caiman showed its massive head destroying any comparison.

On our third day, I fished with lodge host and angling raconteur Charlie Conn. Our goal was pirarucu... the legendary Amazonian giant that is rarely seen, let alone successfully boated. I’ve hooked only two in all my years traveling to Brazil. On this day we studied the bubbles and mud puffs watching four big pirarucu work a small lagoon. Eventually, I had a take. Soon we realized I had hooked a 85-95lb. pirarucu (arapaimaya) on my 8 wt. The pirarucu had eaten a white/brown 4/0 Major Bunker weighted fly that I had sunk to the bottom and retrieved very slowly. After the first heart-stopping run, I saw Neto, our old friend and guide, wipe away a tear as he was barking instructions. This was the first pirarucu he had ever seen hooked on a fly...  he was more excited than I was! But alas, I had no chance!!! A fish pushing triple digits just doesn’t work on an 8 wt. I pushed my rod to the breaking point. At times it vibrated like a stretched rope. Under this pressure, we got the big fish to surface 7 or 8 times. Then, it would roll or make a lunge giving us a good opportunity to see its massively scaled body and bright red ventral markings. But eventually a piranha, a fish 1/100th the size of my pirarucu, bit me off where my 50 lb. leader met my line. Suddenly it was over. With sweat rolling down my back and and my muscles burning, I asked Neto for a beer. It was 10:30 AM, but a beer seemed warranted if not appropriate for this hour of the day. 

The same lago that offered up the pirarucu tantalized us with payara that followed our flies all the way to the boat with no takes. These “vampire” fish have two very long stabbing teeth that fit perfectly into holes in the roof of their mouths. They are spectacular to see, but very hard to hook. First the pirarucu then the payara... apparently we were into fish we couldn’t catch!

You know its a good trip when you can focus on the tougher fish knowing you can always go back to the marquee species

On one day early in our week, a 10.5 lb. spotted peacock savagely hit my fly just off a large tangle of sun-bleached branches and logs near shore. As I struggled for control, I realized he was gaining on me and soon he would be back in the branches. If he made it, it would be game over. I clamped down hard with my stripping hand only to have this fish burn through my sunglove and the leather patch on one of my fingers. This ferocious run left me with a nasty line burn on my palm. I did manage to somehow land the fish. I still have the scar on my palm as I write this report many days later.

(Unrelated to this text: data records)
# 1
Below is an isolated molecule of C4H5N3S, with properties calculated with wB97M-V/def2-TZVPD.

```
! wB97M-V def2-TZVPD RIJCOSX def2/J DEFGRID3
* xyz 0 1
C 2.194 -0.387 -0.887
C -0.614 0.919 0.777
C -1.461 -0.381 0.795
C -1.689 -1.003 -0.579
H 2.585 -1.261 -1.398
H 2.755 0.522 -1.065
H 1.251 1.642 0.078
H -2.498 -0.170 1.123
H -0.921 -1.090 1.482
N 1.068 -0.401 -0.299
N 0.585 0.821 0.131
N -2.033 -1.561 -1.534
S -1.221 2.351 1.376
*
```

Summary:
- SMILES string: C=NNC(=S)CC#N
- E_LUMO: -0.26 eV
- HOMO level: -9.05 eV
- Orbital gap: 8.79 eV



# 2
Below is a cluster of 12 separate species, C42H105BN7O22 in total, with properties calculated with wB97M-V/def2-TZVPD.

```
! wB97M-V def2-TZVPD RIJCOSX def2/J DEFGRID3
* xyz -1 1
O 1.102 2.064 1.234
C 0.664 1.186 0.551
O 1.391 0.278 -0.088
B 0.529 -0.541 -0.947
O -0.833 -0.215 -0.513
C -0.829 0.875 0.221
O -1.775 1.488 0.618
O 0.812 -1.971 -0.876
C 1.244 -2.447 -2.027
O 1.528 -3.575 -2.285
C 1.172 -1.268 -3.043
O 0.726 -0.219 -2.384
O 1.430 -1.364 -4.200
C -1.843 -0.055 -4.647
O -1.798 -1.466 -4.762
H -1.500 0.353 -3.691
H -1.080 0.374 -5.323
H -2.783 0.356 -4.999
H -0.878 -1.729 -4.644
C -2.070 2.510 4.246
O -1.317 2.038 5.370
H -1.871 1.904 3.361
H -3.139 2.627 4.444
H -1.702 3.518 4.038
H -1.409 1.080 5.372
C 4.950 -0.158 -0.398
O 5.448 -1.446 -0.112
H 4.814 0.421 0.528
H 5.668 0.403 -0.994
H 3.968 -0.181 -0.876
H 5.078 -1.728 0.734
C 4.085 -2.288 -5.109
O 5.482 -2.630 -5.096
H 4.035 -1.251 -5.438
H 3.515 -2.882 -5.823
H 3.709 -2.329 -4.092
H 5.572 -3.557 -4.853
C -1.168 4.640 0.710
O -1.425 5.982 0.385
C -0.625 6.827 1.189
C 0.862 6.666 0.896
N 1.683 7.689 1.535
C 1.794 7.624 2.986
C 2.448 6.369 3.475
O 1.508 5.337 3.519
C 2.016 4.059 3.873
H -1.479 4.354 1.724
H -0.130 4.374 0.513
H -1.815 4.016 0.087
H -0.800 6.588 2.248
H -0.935 7.864 1.028
H 1.017 6.741 -0.183
H 1.181 5.695 1.259
H 1.589 8.605 1.133
H 0.817 7.738 3.478
H 2.397 8.483 3.295
H 2.916 6.587 4.451
H 3.295 6.118 2.812
H 2.734 3.713 3.116
H 1.168 3.382 3.827
H 2.490 4.079 4.858
C -3.180 -2.386 1.228
O -3.757 -1.584 2.240
C -4.816 -2.252 2.884
C -5.383 -1.375 4.006
N -4.953 -1.791 5.359
C -3.700 -1.133 5.750
C -3.034 -1.840 6.917
O -2.200 -2.868 6.439
C -1.466 -3.420 7.518
H -2.333 -1.826 0.836
H -3.902 -2.532 0.416
H -2.819 -3.354 1.592
H -4.476 -3.214 3.293
H -5.617 -2.453 2.154
H -6.472 -1.396 3.965
H -5.027 -0.355 3.859
H -4.724 -2.778 5.287
H -3.819 -0.056 5.878
H -3.006 -1.219 4.892
H -3.895 -2.217 7.500
H -2.498 -1.142 7.571
H -0.821 -4.218 7.146
H -2.164 -3.947 8.185
H -0.855 -2.674 8.027
C -4.561 2.096 -1.364
O -5.160 3.377 -1.497
C -6.179 3.401 -2.478
C -6.914 4.710 -2.294
N -6.053 5.870 -2.449
C -5.807 6.333 -3.795
C -6.788 7.400 -4.252
O -7.984 6.806 -4.712
C -9.004 7.751 -4.859
H -4.042 1.888 -2.306
H -5.322 1.339 -1.140
H -3.873 2.113 -0.525
H -6.860 2.552 -2.328
H -5.679 3.359 -3.458
H -7.330 4.697 -1.281
H -7.759 4.821 -2.975
H -5.246 5.807 -1.850
H -5.853 5.512 -4.533
H -4.791 6.719 -3.898
H -6.354 8.053 -5.028
(End of the data records)

. and so it went: day after perfect day, cast after cast, peacock after peacock.

On this trip, we laughed, enjoyed each other’s company and caught lots of fish.... what could be better? Thanks to trip members Mike Schwartz, Doug Ellis, Mike Kotrick, Doug Jeffries, John Frick, Tom Moloy, Warren White and Dick Reamer. Thanks to lodge manager Carlos and Agua Boa bon vivant Charlie Conn, all the staff and especially the terrific and hardworking guides: Neto, Joseph, Samuel, Bacaba, Coboclo and Pedro. 

On the technical side we used fluorocarbon and hard mono of 40-50 lbs. with a diameter of at least .25 of an inch.... .27 is better ( peacocks easily sever softer skinnier tippets). I ran a straight 5-8 foot leader depending on water clarity in the area fished. Successful flies were flashtail whistler and deceiver-like patterns in chartreuse and white, red and white, red and orange, red and yellow, blue over white, brown over white etc. We used around 5 inch flies, but either switched to smaller flies or trimmed existing flies in the shallow lagos or on the clear water flats.

[The page is interrupted by quantum chemistry results]
C5H7O5P | wB97M-V/def2-TZVPD

```
18
C5H7O5P (wB97M-V/def2-TZVPD)
C 3.70 -0.74 0.91
C 0.90 0.84 -0.52
C 0.07 0.53 0.44
C -1.53 -0.89 -0.48
C -1.41 0.45 0.30
O 4.84 -0.79 0.91
O 3.11 0.04 -1.65
O 0.58 0.05 1.65
O -2.89 -1.13 -0.75
O -1.96 1.56 -0.25
P 2.73 0.59 -0.35
H 0.50 1.08 -1.49
H -1.06 -0.69 -1.49
H -1.08 -1.51 0.20
H -1.70 0.13 1.41
H 1.39 0.42 1.95
H -3.44 -1.26 -0.01
H -2.74 1.31 -0.78
```

Calculated values
E_LUMO (spin up / spin down) = 0.18 / -2.56 eV
Kohn-Sham gap (spin up / spin down) = 7.218 / 7.359 eV
Multiplicity = 3
Calculated total energy = -24819.39954 eV

C5H7OPS2 | wB97M-V/def2-TZVPD

```
16
C5H7OPS2 (wB97M-V/def2-TZVPD)
C 1.18 2.34 0.22
C 1.04 1.14 0.37
C 0.62 -1.13 -0.35
C -0.44 -0.44 -1.22
C 0.98 -0.29 0.83
O 0.03 -0.43 1.87
P -2.15 -0.03 -0.47
S -3.46 -1.45 -0.24
S -2.23 1.81 0.01
H 1.27 3.38 -0.12
H 0.27 -2.11 -0.06
H 1.51 -1.45 -1.04
H -0.18 0.47 -1.70
H -0.67 -1.09 -2.06
H 1.95 -0.51 1.23
H 0.27 -0.21 2.75
```

Calculated values
E_LUMO = -0.69 eV
Kohn-Sham gap = 8.272 eV
Multiplicity = 1
Calculated total energy = -38303.15824 eV

C5H7P | wB97M-V/def2-TZVPD

```
13
C5H7P (wB97M-V/def2-TZVPD)
C -0.06 -1.25 0.18
C -1.99 -1.17 -0.19
C -0.83 1.07 0.23
C 0.31 0.12 0.39
C 1.57 0.58 -0.39
P -2.40 0.48 -0.09
H 0.48 -2.17 0.11
H -2.55 -2.07 -0.34
H -0.65 2.12 0.40
H 0.54 0.20 1.47
H 1.39 1.57 -0.82
H 1.77 -0.10 -1.21
H 2.44 0.63 0.25
```

Calculated values
E_LUMO (spin up / spin down) = 0.17 / -0.50 eV
Kohn-Sham gap (spin up / spin down) = 8.176 / 7.635 eV
Multiplicity = 1
Calculated total energy = -14581.98736 eV

C5H7PS | wB97M-V/def2-TZVPD

```
14
C5H7PS (wB97M-V/def2-TZVPD)
S 0.43 -1.12 2.26
C -0.97 -1.03 1.02
C -0.70 0.19 -0.06
C 0.50 -0.18 -0.77
C 1.27 0.81 -1.19
C 0.81 2.07 -0.92
P -0.55 2.13 0.07
H 1.08 -2.02 1.59
H -1.05 -1.81 0.40
H -1.84 -0.84 1.66
H -1.50 -0.01 -0.80
H 0.72 -1.14 -1.07
H 2.25 0.57 -1.49
H 1.43 2.96 -1.06
```

Calculated values
E_LUMO = -0.07 eV
Kohn-Sham gap = 8.220 eV
SMILES string = SC[C@@H]1C=CC=P1
Multiplicity = 1
Calculated total energy = -25419.92942 eV

C5H8 | wB97M-V/def2-TZVPD

```
13
C5H8 (wB97M-V/def2-TZVPD)
C 0.19 1.39 -1.44
C 0.07 0.55 -0.43
C -1.11 -0.17 0.21
C -0.09 -1.14 0.87
C 1.07 -0.21 0.43
H -0.68 1.80 -1.96
H 1.17 1.71 -1.80
H -1.83 -0.61 -0.49
H -1.65 0.45 0.93
H -0.06 -2.11 0.38
H -0.21 -1.29 1.95
H 1.92 -0.67 -0.08
H 1.45 0.41 1.25
```

Calculated values
E_LUMO = 1.22 eV
Kohn-Sham gap = 10.480 eV
SMILES string = C=C1CCC1
Multiplicity = 1
Calculated total energy = -5313.26606 eV

C5H8 | wB97M-V/def2-TZVPD

```
13
C5H8 (wB97M-V/def2-TZVPD)
C -1.85 -0.88 1.45
C -0.68 -0.88 0.77
C -0.36 -0.07 -0.52
C 0.95 0.81 -0.41
C 2.05 1.01 -1.19
H -2.05 -1.75 2.11
H -2.61 -0.05 1.50
H -0.17 -1.79 1.12
H -0.29 -0.68 -1.47
H -1.16 0.67 -0.76
H 1.03 1.19 0.60
H 2.66 2.00 -1.16
H 2.48 0.43 -2.05
```

Calculated values
E_LUMO = 1.11 eV
Kohn-Sham gap = 10.200 eV
SMILES string = C=CCC=C
Multiplicity = 1
Calculated total energy = -5311.78239 eV

C5H8 | wB97M-V/def2-TZVPD

```
13

Next: Photos from the fish market in Manaus and Day 1 on the river.

1 comment:

  1. It truly was another incredible trip. I can't add much to your report except we saw a better than average selection of fauna this time. Here's what I remember - a brief jaguar siting from a distance; iguanas; river monitors; giant river otters; pink and grey fresh water dolphins; at least one good tapir siting; brown bearded saki and white-fronted capuchin monkeys (we heard the howlers but they were too far into the bush to track down); lots of black and spectacle caiman including a couple gnarly old monarchs that pushed the 17 - 18 foot length; and in my opinion the best siting was the giant anteater one boat watched for almost 10 minutes! That's a pretty rare site.

    The usual amazing bird population. Highlights for me were a channel billed toucan; roseate spoonbills; lots of jabiru storks; red-capped cardinals; common potoo; black collared hawk; and of course my favorites all five of the local the kingfishers.

    Oh, and I think Mike Kotrick ended up with the big fish of the week at 19lbs. I know of four other 18lb'ers too so we certainly had our share of big fish. Thanks for organizing the trip.
